Wanted:
Return the calculation results further down without altering anything, please.

Contents:
********
# CaGe2

A relaxed CaGe2 crystal (PBE, the Materials Project database).

Unit cell a=4.0496 b=4.0496 c=10.1882 alpha=90.00 beta=90.00 gamma=120.00
With the nearest neighbours (Å) after each atom.
Sites, in units of the cell vectors:
Ge (0.0000, 0.0000, 0.4991)  3 Ge 2.58
Ge (0.3333, 0.6667, 0.6058)  3 Ge 2.58
Ge (0.6667, 0.3333, 0.1058)  3 Ge 2.58
Ge (0.0000, 0.0000, 0.9991)  3 Ge 2.58
Ca (0.3333, 0.6667, 0.2921)  7 Ge 3.01-3.20
Ca (0.6667, 0.3333, 0.7921)  7 Ge 3.01-3.20

## Properties
Calculated volume   24.116 Å³/atom
Symmetry   P6_3mc, No. 186
Formation enthalpy at 0 K   -0.4791 eV/atom

----------

(1)
## Li9Co7O16 (PBE with a Hubbard U)

Data for a relaxed structure of Li9Co7O16.

The structure in POSCAR format:
```
Li9Co7O16
1.0
19.371 -1.497 0.000
19.371 1.497 0.000
-0.412 0.000 4.955
Li Co O
9 7 16
direct
0.000 0.000 0.000
0.061 0.061 0.688
0.187 0.187 0.061
0.313 0.313 0.439
0.439 0.439 0.820
0.561 0.561 0.180
0.687 0.687 0.561
0.813 0.813 0.939
0.939 0.939 0.312
0.125 0.125 0.374
0.250 0.250 0.750
0.376 0.376 0.126
0.500 0.500 0.500
0.624 0.624 0.874
0.750 0.750 0.250
0.875 0.875 0.626
0.027 0.027 0.363
0.095 0.095 0.040
0.154 0.154 0.709
0.221 0.221 0.415
0.279 0.279 0.085
0.346 0.346 0.792
0.404 0.404 0.462
0.472 0.472 0.196
0.528 0.528 0.804
0.596 0.596 0.538
0.654 0.654 0.208
0.721 0.721 0.915
0.779 0.779 0.585
0.846 0.846 0.291
0.905 0.905 0.960
0.973 0.973 0.637
```

Properties
**Energy of formation from the pure elements**: -1.616 eV per atom
**ΔE to the lowest computed polymorph**: 429 kJ/mol of formula units
**E (MP2020)**: -6.1822 eV/atom
**Electronic total energy**: -175.373 eV for the cell shown


(2)
## KHfMnSbO6 (PBE with a Hubbard U)

Data for a relaxed structure of KHfMnSbO6.

The structure in POSCAR format:
```
KHfMnSbO6
1.0
0.000 4.041 4.041
4.041 0.000 4.041
4.041 4.041 0.000
K Hf Mn Sb O
1 1 1 1 6
direct
0.000 0.000 0.000
0.250 0.250 0.250
0.500 0.500 0.500
0.750 0.750 0.750
0.504 0.504 0.996
0.504 0.996 0.504
0.504 0.996 0.996
0.996 0.504 0.504
0.996 0.504 0.996
0.996 0.996 0.504
```

Properties
**Energy of formation from the pure elements**: -2.431 eV per atom
**E (MP2020)**: -7.8352 eV/atom
**Electronic total energy**: -72.562 eV for the cell shown


(3)
## CrP5O15 (PBE with a Hubbard U)

Data for a relaxed structure of CrP5O15.

The structure in POSCAR format:
```
CrP5O15
1.0
5.033 0.000 0.000
0.000 10.453 0.000
-4.648 0.000 12.196
Cr P O
2 10 30
direct
0.000 0.002 0.000
0.000 0.998 0.500
0.419 0.442 0.351
0.419 0.558 0.851
0.430 0.165 0.418
0.430 0.835 0.918
0.570 0.167 0.083
0.570 0.833 0.583
0.592 0.443 0.155
0.592 0.557 0.655
0.999 0.012 0.250
0.999 0.988 0.750
0.041 0.057 0.656
0.041 0.943 0.156
0.122 0.479 0.811
0.122 0.521 0.311
0.257 0.154 0.059
0.257 0.846 0.559
0.263 0.109 0.298
0.263 0.891 0.798
0.317 0.113 0.501
0.317 0.887 0.001
0.340 0.312 0.398
0.340 0.688 0.898
0.377 0.473 0.581
0.377 0.527 0.081
0.506 0.386 0.253
0.506 0.614 0.753
0.636 0.475 0.926
0.636 0.525 0.426
0.667 0.313 0.107
0.667 0.687 0.607
0.684 0.117 0.999
0.684 0.883 0.499
0.731 0.107 0.203
0.731 0.893 0.703
0.743 0.150 0.441
0.743 0.850 0.941
0.891 0.480 0.695
0.891 0.520 0.195
0.960 0.059 0.844
0.960 0.941 0.344
```

Properties
**Energy of formation from the pure elements**: -2.210 eV per atom
**ΔE to the lowest computed polymorph**: 282 kJ/mol of formula units
**E (MP2020)**: -7.4925 eV/atom
**Electronic total energy**: -296.738 eV for the cell shown


(4)
## TbFeO3 (PBE with a Hubbard U)

Data for a relaxed structure of TbFeO3.

The structure in POSCAR format:
```
TbFeO3
1.0
5.666 0.000 0.000
0.000 7.732 0.000
0.000 0.000 5.355
Tb Fe O
4 4 12
direct
0.068 0.250 0.019
0.432 0.750 0.519
0.568 0.250 0.481
0.932 0.750 0.981
0.000 0.000 0.500
0.000 0.500 0.500
0.500 0.000 0.000
0.500 0.500 0.000
0.041 0.750 0.386
0.195 0.558 0.808
0.195 0.942 0.808
0.305 0.058 0.308
0.305 0.442 0.308
0.459 0.250 0.886
0.541 0.750 0.114
0.695 0.558 0.692
0.695 0.942 0.692
0.805 0.058 0.192
0.805 0.442 0.192
0.959 0.250 0.614
```
********

Solution:
# CaGe2

A relaxed CaGe2 crystal (PBE, the Materials Project database).

Unit cell a=4.0496 b=4.0496 c=10.1882 alpha=90.00 beta=90.00 gamma=120.00
With the nearest neighbours (Å) after each atom.
Sites, in units of the cell vectors:
Ge (0.0000, 0.0000, 0.4991)  3 Ge 2.58
Ge (0.3333, 0.6667, 0.6058)  3 Ge 2.58
Ge (0.6667, 0.3333, 0.1058)  3 Ge 2.58
Ge (0.0000, 0.0000, 0.9991)  3 Ge 2.58
Ca (0.3333, 0.6667, 0.2921)  7 Ge 3.01-3.20
Ca (0.6667, 0.3333, 0.7921)  7 Ge 3.01-3.20

## Properties
Calculated volume   24.116 Å³/atom
Symmetry   P6_3mc, No. 186
Formation enthalpy at 0 K   -0.4791 eV/atom

----------

(1)
## Li9Co7O16 (PBE with a Hubbard U)

Data for a relaxed structure of Li9Co7O16.

The structure in POSCAR format:
```
Li9Co7O16
1.0
19.371 -1.497 0.000
19.371 1.497 0.000
-0.412 0.000 4.955
Li Co O
9 7 16
direct
0.000 0.000 0.000
0.061 0.061 0.688
0.187 0.187 0.061
0.313 0.313 0.439
0.439 0.439 0.820
0.561 0.561 0.180
0.687 0.687 0.561
0.813 0.813 0.939
0.939 0.939 0.312
0.125 0.125 0.374
0.250 0.250 0.750
0.376 0.376 0.126
0.500 0.500 0.500
0.624 0.624 0.874
0.750 0.750 0.250
0.875 0.875 0.626
0.027 0.027 0.363
0.095 0.095 0.040
0.154 0.154 0.709
0.221 0.221 0.415
0.279 0.279 0.085
0.346 0.346 0.792
0.404 0.404 0.462
0.472 0.472 0.196
0.528 0.528 0.804
0.596 0.596 0.538
0.654 0.654 0.208
0.721 0.721 0.915
0.779 0.779 0.585
0.846 0.846 0.291
0.905 0.905 0.960
0.973 0.973 0.637
```

Properties
**Energy of formation from the pure elements**: -1.616 eV per atom
**ΔE to the lowest computed polymorph**: 429 kJ/mol of formula units
**E (MP2020)**: -6.1822 eV/atom
**Electronic total energy**: -175.373 eV for the cell shown


(2)
## KHfMnSbO6 (PBE with a Hubbard U)

Data for a relaxed structure of KHfMnSbO6.

The structure in POSCAR format:
```
KHfMnSbO6
1.0
0.000 4.041 4.041
4.041 0.000 4.041
4.041 4.041 0.000
K Hf Mn Sb O
1 1 1 1 6
direct
0.000 0.000 0.000
0.250 0.250 0.250
0.500 0.500 0.500
0.750 0.750 0.750
0.504 0.504 0.996
0.504 0.996 0.504
0.504 0.996 0.996
0.996 0.504 0.504
0.996 0.504 0.996
0.996 0.996 0.504
```

Properties
**Energy of formation from the pure elements**: -2.431 eV per atom
**E (MP2020)**: -7.8352 eV/atom
**Electronic total energy**: -72.562 eV for the cell shown


(3)
## CrP5O15 (PBE with a Hubbard U)

Data for a relaxed structure of CrP5O15.

The structure in POSCAR format:
```
CrP5O15
1.0
5.033 0.000 0.000
0.000 10.453 0.000
-4.648 0.000 12.196
Cr P O
2 10 30
direct
0.000 0.002 0.000
0.000 0.998 0.500
0.419 0.442 0.351
0.419 0.558 0.851
0.430 0.165 0.418
0.430 0.835 0.918
0.570 0.167 0.083
0.570 0.833 0.583
0.592 0.443 0.155
0.592 0.557 0.655
0.999 0.012 0.250
0.999 0.988 0.750
0.041 0.057 0.656
0.041 0.943 0.156
0.122 0.479 0.811
0.122 0.521 0.311
0.257 0.154 0.059
0.257 0.846 0.559
0.263 0.109 0.298
0.263 0.891 0.798
0.317 0.113 0.501
0.317 0.887 0.001
0.340 0.312 0.398
0.340 0.688 0.898
0.377 0.473 0.581
0.377 0.527 0.081
0.506 0.386 0.253
0.506 0.614 0.753
0.636 0.475 0.926
0.636 0.525 0.426
0.667 0.313 0.107
0.667 0.687 0.607
0.684 0.117 0.999
0.684 0.883 0.499
0.731 0.107 0.203
0.731 0.893 0.703
0.743 0.150 0.441
0.743 0.850 0.941
0.891 0.480 0.695
0.891 0.520 0.195
0.960 0.059 0.844
0.960 0.941 0.344
```

Properties
**Energy of formation from the pure elements**: -2.210 eV per atom
**ΔE to the lowest computed polymorph**: 282 kJ/mol of formula units
**E (MP2020)**: -7.4925 eV/atom
**Electronic total energy**: -296.738 eV for the cell shown


(4)
## TbFeO3 (PBE with a Hubbard U)

Data for a relaxed structure of TbFeO3.

The structure in POSCAR format:
```
TbFeO3
1.0
5.666 0.000 0.000
0.000 7.732 0.000
0.000 0.000 5.355
Tb Fe O
4 4 12
direct
0.068 0.250 0.019
0.432 0.750 0.519
0.568 0.250 0.481
0.932 0.750 0.981
0.000 0.000 0.500
0.000 0.500 0.500
0.500 0.000 0.000
0.500 0.500 0.000
0.041 0.750 0.386
0.195 0.558 0.808
0.195 0.942 0.808
0.305 0.058 0.308
0.305 0.442 0.308
0.459 0.250 0.886
0.541 0.750 0.114
0.695 0.558 0.692
0.695 0.942 0.692
0.805 0.058 0.192
0.805 0.442 0.192
0.959 0.250 0.614
```